There are certain things I talk to my mom and certain things I speak to dad for. But I also know that it has never been that I can tell my mum something and my dad won't know. They are very dependent on each other even though they may not say it or realise it.

I've not really watched too many English films. I've grown up watching Indian cinema, mostly.

I would like to believe that I am a collaborative actor. That's why I love all the directors I have worked with in recent times, as they are all collaborative directors. I think my constant desire is to keep bettering my own work. I don't get easily satisfied with my work; I am very critical of it. I learn from my mistakes.

When you work on a film, it's important to feel that you are starting afresh and doing it for the first time. Also, it's important to have those butterflies in your stomach; you need to wonder how you are going to approach the character and whether you will be able to do justice to the part.

When I realized I was depressed, then I started reading up about it. When I read that one in four people are depressed, I felt that I'm not the only one. I also felt that how many people must be feeling suffocated to fight this battle all alone. I just wanted to reach out and tell them that even I'm like you, and it's okay if you feel like that.

My parents worry all the time because I trust people very easily.

You can't create chemistry. In fact, the chemistry between two actors is for people to see, sense, and judge. The only thing we can do as actors is to come on board individually because we feel the same kind of passion for a script and for a director to cast us because he feels that, as actors, we'll do justice to that part.

When I finished 'Cocktail,' it took me a very long time to get out of Veronica's mindspace, behaviour, and zone. I had to reconnect with who I am. It is a similar story with 'Bajirao Mastani.' Some films demand that.

I think for everything that people say about me as a person today - whether it's about being disciplined and grounded or whatever - I think a lot of it is a credit to my father, who has been a massive influence in my life both professionally and personally.

I've always believed that as actors, one of the biggest advantages of being in the film business - not just of being actors, but being in this industry - is the fact that you get to travel so much, and you get to see places that you probably would not if you went just as a tourist.

I believe chemistry is based on the trust between two performers. What actually works is something intangible - being extremely comfortable in each other's presence.

Next to the text, the page also holds molecular data
<<<
Entry from the Open Molecules 2025 dataset: a cluster of 8 separate species, C12H38Br2F2N2O9S2 in total in a non-equilibrium geometry (ωB97M-V/def2-TZVPD).

```
! RIJCOSX wB97M-V def2-TZVPD def2/J DEFGRID3
* xyz 0 1
N 0.26465 0.00336 -0.12070
H 1.20497 -0.36241 -0.07478
H -0.31320 -0.61779 -0.66875
H 0.38341 0.80022 -0.72981
H -0.22581 0.23352 0.73170
N 2.66189 -0.94385 -0.21498
S 3.59919 -0.78528 -1.64747
O 5.02213 -1.22706 -1.70662
O 3.32410 0.40005 -2.44255
F 2.94241 -1.92667 -2.58473
S 3.76531 -1.38868 0.66548
O 4.80902 -0.40862 1.01526
O 4.10744 -2.81261 0.52375
F 2.91356 -1.46730 2.02290
Br -0.74780 -1.14029 3.29163
C -2.77270 -1.51805 3.26313
C -3.26462 -2.27550 4.44567
Br -5.24574 -2.35397 4.34376
H -2.88278 -2.09161 2.34280
H -3.32337 -0.57986 3.19488
H -2.98125 -1.78876 5.37888
H -2.91059 -3.30635 4.43535
C 1.73508 3.32540 -3.66678
C 1.64361 3.37348 -2.08960
O 1.40575 2.15819 -1.55760
H 2.09430 4.24102 -4.13657
H 0.76346 3.07372 -4.09189
H 2.41657 2.52733 -3.96134
H 0.85859 4.03965 -1.73173
H 2.52700 3.79530 -1.61023
H 2.09786 1.54512 -1.81595
C 1.41744 2.84132 1.73558
C 1.34000 3.26924 3.22487
O -0.08452 3.35563 3.63110
H 2.41350 3.10818 1.38241
H 0.68313 3.39720 1.15258
H 1.25980 1.76291 1.71844
H 1.65464 4.30603 3.34386
H 1.91935 2.71030 3.95975
H -0.21619 3.64981 4.53538
C -3.91696 1.68005 0.90782
C -2.95166 2.51880 1.66693
O -1.67448 1.80876 1.79360
H -4.74175 2.18829 0.40830
H -4.05982 0.69466 1.35132
H -3.41018 1.44132 -0.02721
H -3.29362 2.85581 2.64549
H -2.68651 3.40543 1.09102
H -1.11543 2.43147 2.26401
C -2.30834 -1.67115 -4.12549
C -0.98760 -1.21912 -3.40137
O -1.18015 -0.08601 -2.60423
H -3.17869 -1.56888 -3.47731
H -2.20407 -2.73622 -4.33247
H -2.38747 -1.04623 -5.01505
H -0.25133 -0.88111 -4.13060
H -0.47919 -1.95389 -2.77708
H -1.44718 0.55489 -3.26721
C 0.09856 -5.19636 -0.64146
C 1.04715 -4.09210 -0.34497
O 0.46684 -2.82533 -0.31804
H -0.38362 -5.52604 0.27882
>>>

I need to be loved. I need to be nurtured. I also need peace and stability in my relationships. I can't be in volatile relationships.

I'll only move in with my husband. There's no question of a live-in relationship.

I've not been in a live-in relationship. But I've been exposed to various kinds of equations that can exist between people. When I came from Bangalore, it was black and white. Over the years, I've realised that there's more to what we see on a day-to-day basis. There are all kinds of relationships, all kinds of equations.

'Piku' was driven by subtleties. Most films come with the padding of the sound, the visual, the drama.

**Molecular data, as found in the file:**
<<<
[1]
C2H2N4O2 | wB97M-V/def2-TZVPD

XYZ file:
```
10
Properties=species:S:1:pos:R:3:forces:R:3:lowdin_charge:R:1
C -1.360 -0.092 -0.045 -2.558 -4.155 1.972 -0.4694
C 1.984 0.612 0.169 0.939 -0.164 -0.391 -0.1581
H -1.146 1.774 -0.043 -1.135 -0.888 -0.291 0.1464
H 2.871 1.284 0.203 -0.955 -0.876 0.371 0.1236
N 0.071 -0.027 -0.182 -0.773 -0.149 0.632 -0.1274
N 0.756 1.058 0.104 0.351 1.485 -0.291 0.0969
N 2.023 -0.769 -0.004 -0.315 1.616 -0.150 0.0610
N 0.789 -1.085 -0.205 0.985 -2.630 -0.158 0.0649
O -1.890 1.090 -0.109 0.770 1.837 0.033 0.1522
O -1.978 -1.142 0.248 2.692 3.924 -1.726 0.1099
```
Forces are in eV/Å.

Output
- energy relative to the best compared isomer or geometry (same formula, charge and spin) (kJ/mol) = 251.6
- multiplicity = 1
- frontier orbital gap (eV) = 11.32
- F_max (eV/Å) = 5.3
- HOMO level (hartree) = -0.4225



[2]
C2H2N4O3 | wB97M-V/def2-TZVPD

XYZ file:
```
11
Properties=species:S:1:pos:R:3:forces:R:3:lowdin_charge:R:1
C -0.831 -0.478 -0.545 -2.192 -4.716 1.084 -0.3467
C -0.022 -0.386 0.710 0.369 -1.936 1.533 -0.3937
H 1.365 1.019 2.129 2.521 -1.869 -3.429 0.2390
H -1.745 -1.687 -1.681 -0.899 0.574 3.904 0.1597
N 1.076 0.425 0.231 -0.804 1.382 3.847 -0.1264
N 0.188 1.281 -1.657 -2.826 -6.238 1.363 0.2276
N -0.190 0.029 -1.772 0.559 7.475 1.213 0.0735
N -1.733 -1.448 -0.501 2.718 2.219 -5.850 0.1941
O 1.966 0.633 1.232 -2.334 2.310 3.236 -0.0336
O 0.040 1.687 0.111 2.540 -2.288 -3.489 -0.1164
O -0.115 -1.075 1.743 0.348 3.087 -3.412 0.1227
```
Forces are in eV/Å.

Output
- energy relative to the best compared isomer or geometry (same formula, charge and spin) (kJ/mol) = 795.4
- multiplicity = 1
- frontier orbital gap (eV) = 8.93
- F_max (eV/Å) = 7.6
- HOMO level (hartree) = -0.4042



[3]
C2H2N4OS | wB97M-V/def2-TZVPD

XYZ file:
```
10
Properties=species:S:1:pos:R:3:forces:R:3:lowdin_charge:R:1
C 0.730 0.126 0.006 0.081 0.710 -0.138 -0.7584
C -1.507 -0.504 0.004 -0.683 -0.111 -0.130 -0.4515
H 2.924 0.774 0.005 -0.454 -0.868 -0.004 -0.0705
H -2.049 -2.309 0.016 -0.101 0.248 -0.051 0.0771
N 0.459 1.388 -0.003 0.062 -0.884 0.103 0.0243
N -0.901 1.742 0.002 -0.369 -0.365 -0.063 0.0113
N -1.811 0.886 -0.002 0.557 0.119 0.054 0.0889
N -2.429 -1.357 -0.002 0.563 0.150 0.104 0.1850
O -0.170 -0.870 -0.004 0.222 0.077 0.098 0.0193
S 2.370 -0.491 -0.001 0.122 0.923 0.027 0.8745
```
Forces are in eV/Å.

Output
- energy relative to the best compared isomer or geometry (same formula, charge and spin) (kJ/mol) = 125.6
- multiplicity = 1
- frontier orbital gap (eV) = 9.41
- F_max (eV/Å) = 1.0
- HOMO level (hartree) = -0.3755

----------

Run 1
A 2-piece molecular cluster, C11H15NO overall. Source: the OMol25 dataset; level of theory: the ωB97M-V functional and the def2-TZVPD basis.

- Total charge: 0
- Molecular weight: 177.25 g/mol
- Multiplicity: 1
- SMILES: Cc1c[nH]c2ccccc12.CCO
- Gap between HOMO and LUMO: 8.47 eV

Each line ends with the Löwdin charge.
Atoms and positions in Å:
O 2.44 -2.58 -0.82  -0.071
N -1.18 1.67 -1.67  0.041
>>>

No other aspect of filmmaking has tempted me to do a film other than the script and the story itself.

A script narration is like watching a film, and I react to it like an audience with my own instinct. After that, I look for what is my character, what will I bring to the table in that role, how challenging will it be.

I am not interested in churning out a certain number of films every year. For me, it's about the quality of work. I think it's about following your instincts and doing a film for the right reason.

I don't look at it as Hollywood or Bollywood, but, of course, my roots are here, and at the end of the day, it's about your roots. You can't take India out of me.

India is home, and that's never going to change.

I guess I learnt to appreciate old Hindi-movie music from my dad and somewhere down the line picked up jazz as well.

To me, the mind and body are one. I'm very transparent, in a way, and people can very easily make out what mood I'm in.

I don't think I am a star; I consider myself like any other girl who is of my age. Others may be working in office and doing different jobs. Similarly I don't think I am doing something different... I am also working.

I try and work out as often as possible. Since I travel very often, it becomes very difficult to have a daily work out routine, but I practice yoga every day or try and play some sport. Also, I am very aware of what suits my body in terms of food and exercise.